World risks trade wars as Trump turns US inwards
Donald Trump tapped into this anger by demonising globalisation as being against US interests.

Karachi: Donald Trump says virtually every state takes advantage of the US and he will put America first in global deals. This sounds like an elephant cribbing about smaller beings throwing their weight at it. Has the US truly lost in the globalisation process that it had itself unleashed in 1980?
Data records that have nothing to do with the entry:
-- begin --
Record 1
Density functional theory data (SCAN) for a PBEsol-optimized structure of AlRu3Pt.

## Properties
The calculation puts the energy of formation from the pure elements at 8.87 eV/f.u.

Cell and atoms, written as CIF:
```
data_AlRu3Pt
_cell_length_a 4.662
_cell_length_b 4.662
_cell_length_c 4.662
_cell_angle_alpha 90.00
_cell_angle_beta 90.00
_cell_angle_gamma 90.00
_symmetry_space_group_name_H-M 'P m -3 m'
_symmetry_Int_Tables_number 221
_symmetry_space_group_name_Hall '-P 4 2 3'
loop_
_atom_site_label
_atom_site_fract_x
_atom_site_fract_y
_atom_site_fract_z
Al1 0.000 0.000 0.000
Ru1 0.000 0.500 0.500
Pt1 0.500 0.500 0.500
```

Record 2
Density functional theory data (SCAN) for a PBEsol-optimized structure of AlRuPt.

## Properties
The calculation puts the energy of formation from the pure elements at -0.74 eV/f.u.

Cell and atoms, written as CIF:
```
data_AlRuPt
_cell_length_a 5.881
_cell_length_b 5.881
_cell_length_c 5.881
_cell_angle_alpha 90.00
_cell_angle_beta 90.00
_cell_angle_gamma 90.00
_symmetry_space_group_name_H-M 'F -4 3 m'
_symmetry_Int_Tables_number 216
_symmetry_space_group_name_Hall 'F -4 2 3'
loop_
_atom_site_label
_atom_site_fract_x
_atom_site_fract_y
_atom_site_fract_z
Al1 0.000 0.000 0.000
Ru1 0.000 0.000 0.500
Pt1 0.250 0.250 0.750
```

Record 3
Density functional theory data (SCAN) for a PBEsol-optimized structure of AlPt3S.

## Properties
The calculation puts the energy relative to the lowest polymorph listed for this composition at 0.410 eV/atom.

Cell and atoms, written as CIF:
```
data_AlPt3S
_cell_length_a 4.510
_cell_length_b 4.510
_cell_length_c 4.510
_cell_angle_alpha 90.00
_cell_angle_beta 90.00
_cell_angle_gamma 90.00
_symmetry_space_group_name_H-M 'P m -3 m'
_symmetry_Int_Tables_number 221
_symmetry_space_group_name_Hall '-P 4 2 3'
loop_
_atom_site_label
_atom_site_fract_x
_atom_site_fract_y
_atom_site_fract_z
Al1 0.000 0.000 0.000
Pt1 0.000 0.000 0.500
S1 0.500 0.500 0.500
```

Record 4
Density functional theory data (SCAN) for a PBEsol-optimized structure of AlPt3S.

## Properties
The calculation puts the energy relative to the lowest polymorph listed for this composition at 0.000 eV/atom.

Cell and atoms, written as CIF:
```
data_AlPt3S
_cell_length_a 4.464
_cell_length_b 4.464
_cell_length_c 4.464
_cell_angle_alpha 90.00
_cell_angle_beta 90.00
_cell_angle_gamma 90.00
_symmetry_space_group_name_H-M 'P m -3 m'
_symmetry_Int_Tables_number 221
_symmetry_space_group_name_Hall '-P 4 2 3'
loop_
_atom_site_label
_atom_site_fract_x
_atom_site_fract_y
_atom_site_fract_z
Al1 0.000 0.000 0.000
Pt1 0.000 0.500 0.500
S1 0.500 0.500 0.500
```

Record 5
Density functional theory data (SCAN) for a PBEsol-optimized structure of AlSbPtS2.

## Properties
The value obtained for the calculated total energy is -25.726 eV/atom.

Cell and atoms, written as CIF:
```
data_AlSbPtS2
_cell_length_a 4.886
_cell_length_b 4.886
_cell_length_c 5.081
_cell_angle_alpha 90.00
_cell_angle_beta 90.00
_cell_angle_gamma 90.00
-- stop --
Globalisation means increased flows of goods, services, money, people, ideas and ecology among states leading to global economic, political and social convergence. Globalisation was unleashed by Ronald Reagan to increase US corporate profits. But only those flows were encouraged which increased such profits, i.e. those of goods, services and investments. Even here, weaker states had to open their industries to competition, but key US sectors, like agriculture, were protected.
Other US trade policies hurt poor states too, e.g. higher tariffs on goods from developing than rich states, and restrictions on textiles and clothing imports. Global intellectual rights, trade in services and investment agreements were also designed to benefit rich states. Flows benefiting poor states were discouraged, e.g. of people to the US and of aid to poor states.
Thus, instead of encouraging all types of flows in all directions, the US introduced neoliberal globalisation, which only encouraged those flows which benefited corporate America most.
Neoliberal globalisation has produced winners and losers. The rich in the US have won big, as shown by the exploding number of its billionaires and the trillions hidden in offshore havens. Middle classes in some developing states have benefited too, e.g. India and East Asia have some labour segments there. But millions have been incorporated into globalisation in sweatshops in Bangladesh and Indonesia while millions of others have lost their livelihoods.
Even American middle and working class fortunes have stagnated. In fact, the most vocal reaction to such globalisation has come not from poor states that are bigger losers but from working classes in rich states.
Trump tapped into this anger by demonising globalisation as being against US interests. The global order rests on a delicate balance. As the global hegemon, the US derives maximum benefits from it but must also not squeeze other states too much. This requires it to maintain large trade and fiscal deficits. Large trade deficits have emerged as US companies have moved abroad to avail themselves of lower labour and regulatory costs. But large US trade deficits help run the global system. In the absence of a global currency, the dollar serves this role. So, the deficits help supply the world with dollars. However, those dollars soon return via the profits repatriated by US companies.
-- Between two parts of the page: crystal structures --
- - -
Material: BaTeBr4
Method: DFT, meta-GGA SCAN
State: PBEsol geometry

Cell and atoms, written as CIF:
```
data_BaTeBr4
_chemical_formula_sum 'Ba1 Te1 Br4'
_cell_length_a 6.270
_cell_length_b 6.270
_cell_length_c 6.270
_cell_angle_alpha 60.00
_cell_angle_beta 60.00
_cell_angle_gamma 60.00
_symmetry_space_group_name_H-M 'P 1'
_symmetry_Int_Tables_number 1
loop_
_symmetry_equiv_pos_as_xyz
'x,y,z'
loop_
_atom_site_label
_atom_site_fract_x
_atom_site_fract_y
_atom_site_fract_z
Ba1 0.000 0.000 0.000
Br1 0.873 0.376 0.376
Br2 0.376 0.376 0.376
Br3 0.376 0.873 0.376
Br4 0.376 0.376 0.873
Te1 0.750 0.750 0.750
```

Properties
raw total energy = -1.9292 Ry per atom
volume = 174.3 Å³/f.u.
size of the total moment = 0.152 μB/cell
ΔE_f (raw) = -0.475 eV/atom
ρ = 5.57 g cm⁻³

* * * * *

Entry 1:
First-principles (PBE) data for crystalline Rb5Ga4Sn2 at its relaxed geometry, as listed in the Alexandria database.

```
11
Lattice="6.5185 -3.6307 0.0000 6.5185 3.6307 0.0000 -3.3234 0.0000 8.2422" Properties=species:S:1:pos:R:3 pbc="T T T"
Rb 0.0000 0.0000 0.0000
Rb 3.2106 1.7567 5.1003
Rb 6.5030 1.7567 3.1418
Rb 3.2106 -1.7567 5.1003
Rb 6.5030 -1.7567 3.1418
Ga 3.2018 0.0000 1.6507
Ga 5.2354 0.0000 0.1388
Ga 4.4782 0.0000 8.1033
Ga 6.5118 0.0000 6.5914
Sn -0.0314 0.0000 6.5389
Sn 9.7450 0.0000 1.7033
```

Properties
DFT formation energy = 51.2 meV per atom
calculated total energy = -2.2170 eV/atom
DOS(E_F) = 0.386 states/eV per atom
space group = C2/m

=====

Entry 2:
First-principles (PBE) data for crystalline Rb2Ga3Sn2 at its relaxed geometry, as listed in the Alexandria database.

```
7
Lattice="7.2798 -2.1987 0.0000 7.2798 2.1987 0.0000 -1.3305 0.0000 7.3531" Properties=species:S:1:pos:R:3 pbc="T T T"
Rb 2.1839 0.0000 1.7065
Rb 11.0452 0.0000 5.6466
Ga 6.3818 0.0000 0.9245
Ga 6.6145 0.0000 3.6766
Ga 6.8473 0.0000 6.4286
Sn 0.6260 0.0000 5.1150
Sn 12.6031 0.0000 2.2381
```

Properties
DFT formation energy = -95.4 meV per atom
calculated total energy = -2.8128 eV/atom
DOS(E_F) = 0.337 states/eV per atom
space group = C2/m

=====

Entry 3:
First-principles (PBE) data for crystalline RbGa4Sn6 at its relaxed geometry, as listed in the Alexandria database.

```
11
Lattice="8.4526 0.0000 0.0000 -4.2263 7.3202 0.0000 0.0000 0.0000 4.8334" Properties=species:S:1:pos:R:3 pbc="T T T"
Rb 0.0000 0.0000 0.0000
Ga 0.0000 4.8801 0.0000
Ga 2.6997 1.5587 2.4167
Ga 5.7529 1.5587 2.4167
Ga 4.2263 4.2029 2.4167
Sn 0.0000 2.9768 2.4167
Sn -1.6484 5.8318 2.4167
Sn 4.2263 0.4419 0.0000
Sn 2.4958 3.4392 0.0000
Sn 1.6484 5.8318 2.4167
Sn 5.9568 3.4392 0.0000
```

Properties
DFT formation energy = -2.4 meV per atom
calculated total energy = -3.3744 eV/atom
DOS(E_F) = 0.442 states/eV per atom
space group = P-6m2

=====

Entry 4:
First-principles (PBE) data for crystalline Rb2Ga2Sn at its relaxed geometry, as listed in the Alexandria database.

```
10
Lattice="4.4454 -6.4663 0.0000 4.4454 6.4663 0.0000 -4.4145 0.0000 7.5881" Properties=species:S:1:pos:R:3 pbc="T T T"
- - -
-- So much for the crystal structures --
Since the global hegemon also usually runs fiscal deficits, partially due to the costs of global policing, they also return via the US public debt purchased by states like Japan and China with excess dollars earned from their trade surpluses. Without safe investment options for these states, the US incurs this debt at low interest rates. This cheap debt fuels the US public and private consumption frenzies which again cause US trade deficits.
This is the merry-go-round nature of the unfair and volatile global capitalist system run by the US which perpetuates global inequality and economic volatility. Hence, it should be replaced by a more just globalisation system based on leftist, progressive policies. Trump plans to move the system even further rightward to make it serve the interests of all Americans. But in trying to reduce US trade deficits and bring factory jobs back to the US, he threatens to unravel this delicate balance and unleash global trade wars and possible global recession.
While it is still the most powerful nation globally, it lacks the power to force the world to submit easily to its desires further on economic issues. Mere raving and ranting by Trump will not bring the world to heel.
My little daughter often watches this story about a bad wolf which goes around destroying the hay and wood houses of little pigs by merely huffing and puffing. But he ultimately comes across a pig who constructed a brick house given the experiences of his sibling pigs. The wolf fails to bring down the house.
Much the same is true in global politics today. Learning from past dealings with the US, more and more states have built brick houses which bad wolf Trump cannot destroy merely by huffing and puffing.
The solution to the ills faced by US working classes and billions globally lies in building a fair economic system which taxes the rich fairly. But such a system will not emerge under a US ruled by its extreme right. Unfortunately, the most powerful state in the world is better at creating global problems than solving them. Until this hegemony ends, the world will lurch from one political and economic crisis to the next under US leadership.
By arrangement with Dawn